Update on our 2020 School Supply Drive

Update on our 2020 School Supply Drive

It’s official – the return to learning this fall, we will be online. So until the public health situation allows for the return to classrooms, the Foundation will continue adjusting to support students and teachers in the best ways possible.

This is nothing like our usual back-to-school season. Fortunately, we’ve already seen what this community can do together. We’ve been inspired and energized by how members of our community responded quickly and generously since the pandemic hit.

For the past 18 years, a huge number of Northshore businesses, parents, and community volunteers have collected and organized paper, pens, crayons and other essential items, and came together at work parties to fill backpacks with supplies for students in need to start the year off right. This year, because of COVID-19, our traditional physical supply drives and volunteer work parties can’t be done safely.

Instead, we’re asking everyone to help in a new way: contributing to funding in-home school supply kits.

If your circumstances allow, would you be able to support the long-standing Backpacks for Kids program as we pivot to better meet the needs of kids learning from home?

The kit contents will be very similar to what the students received in past years, but they will not be distributed in a backpack and the intention is that they will be for in-home use. Supply kits will be available upon request through May 2021. We expect to receive a high volume of requests.

### What comes next are records of crystals, not part of the entry
=====
Entry i
# PrDy3Y3

A geometry-optimized PrDy3Y3 structure (PBE, the Alexandria database).

Output
As for the volume: 33.50 Å³/atom.

The structure in POSCAR format:
```
PrDy3Y3
1.0
7.185 0.000 0.000
-2.395 6.139 0.000
-2.395 -3.070 5.317
Dy Y Pr
3 3 1
Cartesian
2.236 2.746 0.000
-2.554 1.697 2.939
2.236 -1.373 2.378
6.078 2.318 0.000
6.078 -1.159 2.008
1.288 1.910 3.309
3.620 0.000 0.000
```

***

Entry ii
# PrDy3Y3

A geometry-optimized PrDy3Y3 structure (PBE, the Alexandria database).

Output
As for the volume: 33.39 Å³/atom.

The structure in POSCAR format:
```
PrDy3Y3
1.0
-7.379 6.312 -15.089
5.406 -7.505 0.276
-4.945 -2.878 7.273
Y Dy Pr
12 12 4
Cartesian
-5.436 -1.387 -7.124
-8.059 0.526 -5.466
1.293 -4.395 1.509
-1.427 -6.798 2.385
-2.507 -1.956 -9.219
-1.408 -3.187 3.335
-4.361 0.071 -0.551
-4.690 -2.895 -1.963
0.492 -2.099 -3.831
-2.192 -4.012 -3.652
-5.184 2.256 -6.054
-2.649 1.123 -7.768
-8.203 0.324 -9.067
-4.719 -0.043 -3.888
-2.219 -1.161 -5.578
-1.744 -6.319 -1.497
-5.490 2.728 -9.926
-2.565 -4.125 -6.990
-7.398 -1.964 -3.723
-4.420 -2.112 1.664
-1.486 -2.714 -0.403
-5.524 -0.873 -10.878
-4.270 -5.190 0.211
1.134 -4.595 -2.090
-1.373 0.731 -2.514
-5.531 -4.803 -5.006
-10.799 2.717 -8.819
-3.493 -0.549 -13.757
```

***

Unit: kJ/mol of atoms. Relative energies: entry i 9.5; entry ii 0.0.

***

Entry i
# Pr4DyY

A geometry-optimized Pr4DyY structure (PBE, the Alexandria database).

Output
As for the volume: 41.07 Å³/atom.

The structure in POSCAR format:
```
Pr4DyY
1.0
-3.386 -0.309 -0.889
-1.043 -5.771 5.976
-1.984 6.036 5.453
Pr Dy Y
4 1 1
Cartesian
-3.433 2.816 5.144
-2.980 -2.860 5.395
-2.305 0.202 8.702
-4.109 -0.246 1.838
-1.693 -0.155 -0.445
-1.513 0.133 5.715
```

***

Entry ii
# Pr4DyY

A geometry-optimized Pr4DyY structure (PBE, the Alexandria database).

Output
As for the volume: 34.92 Å³/atom.

The structure in POSCAR format:
```
Pr4DyY
1.0
-5.360 -3.225 5.273
-4.400 -6.721 1.550
3.924 -1.920 2.815
Pr Dy Y
4 1 1
Cartesian
-6.185 -9.262 7.103
0.653 -5.253 5.101
0.348 -2.604 2.535
-6.490 -6.613 4.537
0.000 0.000 0.000
-2.918 -5.933 4.819
```

***

Unit: kJ/mol of atoms. Relative energies: entry i 55.8; entry ii 0.0.

***

Entry i
# Pr7DyY4

A geometry-optimized Pr7DyY4 structure (PBE, the Alexandria database).

Output
As for the volume: 35.07 Å³/atom.

The structure in POSCAR format:
```
Pr7DyY4
1.0
5.468 -1.490 2.405
0.506 6.618 2.939
1.634 -1.362 11.742
Y Pr Dy
4 7 1
Cartesian
4.415 3.998 12.312
3.429 2.835 6.134
4.179 0.931 10.952
3.193 -0.232 4.774
1.318 2.722 2.607
5.496 0.085 7.822
6.290 1.044 14.479
1.843 0.190 8.210
5.765 3.576 8.876
2.734 -0.745 1.202
2.112 3.681 9.263
0.000 0.000 0.000
```

***

Entry ii
# Pr7DyY4

A geometry-optimized Pr7DyY4 structure (PBE, the Alexandria database).

Output
As for the volume: 35.25 Å³/atom.

The structure in POSCAR format:
```
Pr7DyY4
1.0
6.067 0.000 0.000
3.033 9.187 2.012
3.033 1.810 7.987
Dy Pr Y
1 7 4
Cartesian
0.000 0.000 0.000
6.067 8.536 8.038
9.100 9.074 6.080
=====

We tested this approach in April and May this year when families who rely on supplies provided at school found themselves struggling. Thanks to supporters and donors, the Foundation was able to deliver supply kits to more than 200 students. In most cases, requests were filled within

In a regular year, we receive as many as 1,200 backpack requests just for the back-to-school season. This year, we are expecting the need for supplies to be even greater.

If you are able to support this program you can purchase school supplies for students in need here https://nsdfschoolsupplies.square.site/  You’ll see options to fund general supplies, headphones, and graphing calculators at whatever level is possible for your family. A $50 contribution covers costs for three student supply kits.

A donation before 8/20 will help us fulfill the first round of requests for school supplies.

With your help, we will keep striving to serve Northshore students and families in the most relevant and appropriate ways. Thank you so much for your partnership and support.

Unrelated to this article: records of crystals:
Entry 1:
This record from Alexandria via LeMat-Bulk describes a relaxed structure of La6In5Ag. The functional is PBE-GGA.

a = 5.5513 Å, b = 7.9383 Å, c = 8.7824 Å
α = 90.00°, β = 108.37°, γ = 90.00°
Last column: nearest neighbours and their distance in Å.
Fractional positions:
La1 0.0000 0.2446 0.0000  6 In 3.39-3.45, 2 Ag 3.39
La2 0.0000 0.7554 0.0000  6 In 3.39-3.45, 2 Ag 3.39
La3 0.3359 0.2472 0.6721  1 Ag 3.36, 7 In 3.39-3.45
La4 0.3359 0.7528 0.6721  1 Ag 3.36, 7 In 3.39-3.45
La5 0.6641 0.2472 0.3279  1 Ag 3.36, 7 In 3.39-3.45
La6 0.6641 0.7528 0.3279  1 Ag 3.36, 7 In 3.39-3.45
In1 0.1665 0.0000 0.3329  8 La 3.39-3.44
In2 0.1676 0.5000 0.3350  8 La 3.43-3.45
In3 0.5000 0.5000 0.0000  8 La 3.39-3.44
In4 0.8324 0.5000 0.6650  8 La 3.43-3.45
In5 0.8335 0.0000 0.6671  8 La 3.39-3.44
Ag1 0.5000 0.0000 0.0000  8 La 3.36-3.39

Calculated values
Space-group type: P2/m, No. 10

---

Entry 2:
This record from Alexandria via LeMat-Bulk describes a relaxed structure of La2InAg. The functional is PBE-GGA.

a = 6.1449 Å, b = 6.1449 Å, c = 6.1449 Å
α = 135.34°, β = 135.34°, γ = 65.00°
Last column: nearest neighbours and their distance in Å.
Fractional positions:
La1 0.0000 0.0000 0.0000  4 In 3.30, 4 Ag 3.49, 4 La 3.49
La2 0.7500 0.2500 0.5000  4 Ag 3.30, 4 In 3.49, 4 La 3.49
In1 0.5000 0.5000 0.0000  8 La 3.30-3.49, 4 Ag 3.49
Ag1 0.2500 0.7500 0.5000  8 La 3.30-3.49, 4 In 3.49

Calculated values
Space-group type: I-4m2, No. 119

---

Entry 3:
This record from Alexandria via LeMat-Bulk describes a relaxed structure of La6InAg. The functional is PBE-GGA.

a = 9.7689 Å, b = 9.7689 Å, c = 9.7689 Å
α = 147.73°, β = 147.73°, γ = 46.29°
Last column: nearest neighbours and their distance in Å.
Fractional positions:
La1 0.1099 0.6099 0.5000  2 In 3.36, 2 Ag 3.36, 4 La 3.67-3.73
La2 0.2475 0.2475 0.0000  12 La 3.67-3.84
La3 0.3901 0.8901 0.5000  2 Ag 3.36, 2 In 3.36, 4 La 3.67-3.73
La4 0.6099 0.1099 0.5000  2 In 3.36, 2 Ag 3.36, 4 La 3.67-3.73
La5 0.7525 0.7525 0.0000  12 La 3.67-3.84
La6 0.8901 0.3901 0.5000  2 Ag 3.36, 2 In 3.36, 4 La 3.67-3.73
In1 0.0000 0.0000 0.0000  8 La 3.36
Ag1 0.5000 0.5000 0.0000  8 La 3.36

Calculated values
Space-group type: I4/mmm, No. 139

---

Entry 4:
This record from Alexandria via LeMat-Bulk describes a relaxed structure of La12InAg6. The functional is PBE-GGA.

a = 8.2556 Å, b = 8.2556 Å, c = 8.2556 Å
α = 88.55°, β = 88.55°, γ = 88.55°
Last column: nearest neighbours and their distance in Å.
Fractional positions:
La1 0.0441 0.3127 0.9456  3 Ag 3.27-3.43, 2 La 3.30-3.35
La2 0.0544 0.9559 0.6873  3 Ag 3.27-3.43, 2 La 3.30-3.35
La3 0.1236 0.3534 0.4877  2 La 3.13-3.35, 3 Ag 3.26-3.31, 1 In 3.37
La4 0.3127 0.9456 0.0441  3 Ag 3.27-3.43, 2 La 3.30-3.35
La5 0.3534 0.4877 0.1236  2 La 3.13-3.35, 3 Ag 3.26-3.31, 1 In 3.37
La6 0.4877 0.1236 0.3534  2 La 3.13-3.35, 3 Ag 3.26-3.31, 1 In 3.37
La7 0.5123 0.8764 0.6466  2 La 3.13-3.35, 3 Ag 3.26-3.31, 1 In 3.37
La8 0.6466 0.5123 0.8764  2 La 3.13-3.35, 3 Ag 3.26-3.31, 1 In 3.37
Back to the article:


Heather Erickson
Removing Barriers Coordinator
Northshore School Foundation

**New Mailing Address***
13110 NE 177th Place B101-103
Woodinville, WA 98072
P.S. If you would like to request a supply pack  for your student(s), please complete this form:  https://bit.ly/NSDSchoolsupplies

_Here the piece breaks off for materials data_
<<<
A plane-wave DFT calculation with PBE was carried out for crystalline ScMn4Si2 at its relaxed geometry.

Computed properties:
M_tot ... 0.00 μB/cell
Crystal system ... tetragonal
Formation energy without anion corrections ... -43.9 kJ per mole of atoms

The structure in CIF format:
```
data_ScMn4Si2
_cell_length_a 6.731
_cell_length_b 6.731
_cell_length_c 3.938
_cell_angle_alpha 90.00
_cell_angle_beta 90.00
_cell_angle_gamma 90.00
_symmetry_space_group_name_H-M 'P 42/m n m'
_symmetry_Int_Tables_number 136
_symmetry_space_group_name_Hall '-P 4n 2n'
loop_
_atom_site_label
_atom_site_type_symbol
_atom_site_fract_x
_atom_site_fract_y
_atom_site_fract_z
Sc1 Sc 0.000 0.000 0.000
Mn1 Mn 0.102 0.358 0.500
Si1 Si 0.210 0.790 0.500
```


{"formula": "CaV4Ag2O12", "functional": "PBE+U", "state": "relaxed", "total_energy_ev_per_atom": -6.8658, "lattice_angstrom": [[10.518, 0.000, 0.000], [0.000, 10.518, 0.000], [0.000, 0.000, 5.079]], "species": ["Ca", "Ca", "V", "V", "V", "V", "V", "V", "V", "V", "Ag", "Ag", "Ag", "Ag", "O", "O", "O", "O", "O", "O", "O", "O", "O", "O", "O", "O", "O", "O", "O", "O", "O", "O", "O", "O", "O", "O", "O", "O"], "fractional_positions": [[0.500, 0.500, 0.500], [0.000, 0.000, 0.500], [0.224, 0.500, 0.000], [0.500, 0.224, 0.000], [0.000, 0.724, 0.000], [0.724, 0.000, 0.000], [0.276, 0.000, 0.000], [0.000, 0.276, 0.000], [0.500, 0.776, 0.000], [0.776, 0.500, 0.000], [0.250, 0.250, 0.500], [0.250, 0.750, 0.500], [0.750, 0.250, 0.500], [0.750, 0.750, 0.500], [0.432, 0.311, 0.242], [0.568, 0.689, 0.242], [0.689, 0.432, 0.242], [0.311, 0.568, 0.242], [0.311, 0.432, 0.758], [0.432, 0.689, 0.758], [0.568, 0.311, 0.758], [0.689, 0.568, 0.758], [0.068, 0.189, 0.758], [0.932, 0.811, 0.758], [0.811, 0.068, 0.758], [0.189, 0.932, 0.758], [0.189, 0.068, 0.242], [0.068, 0.811, 0.242], [0.121, 0.379, 0.145], [0.379, 0.879, 0.145], [0.621, 0.121, 0.145], [0.879, 0.621, 0.145], [0.879, 0.379, 0.855], [0.121, 0.621, 0.855], [0.379, 0.121, 0.855], [0.621, 0.879, 0.855], [0.811, 0.932, 0.242], [0.932, 0.189, 0.242]]}
>>>

If you know of a family in need who may not see this email, please pass this on or request that your school nurse or counselor get in touch with them